What’s Lighting Up the Web: Solyndra
The recent bankruptcy of Solyndra Energy resulted in a media frenzy that directed considerable attention and scrutiny to the clean energy industry. The failure of this solar company has been called a “black eye” for the renewable energy industry, the end of green jobs, and as David Roberts of Grist warned, a climategate-level mess.
A mess, yes, but not because it signals the collapse of the renewables industry. The Solyndra debacle has resulted in a mixed messages and misinformation, obscuring reality: the solar energy is making tremendous strides.
What killed Solyndra?
There are several factors that contributed to Solyndra’s bankruptcy, but one in particular can be perceived as a positive turn of events—falling module prices. Ironically, one could argue it was the explosion of the solar industry that played a big role in Solyndra’s demise.
Back in 2005, Solyndra offered a unique system design, one that did not rely on polysilicon, the primary material for the traditional crystalline solar module. At the time, this business model had strong potential for competing in a market hampered by high costs of polysilicon. Instead, the thin film product used copper indium gallium diselenide, and, by applying the thin film to a cylindrical design, the modules could be easily installed for maximum exposure to the sun. The novel approach initially attracted many investors.
But then the price of polysilicon nosedived due to a combination of increased demand for and production of crystalline silcon solar modules. Between the period when Solyndra applied for and was awarded the loan guarantee (December 2006-June 2009), the price of polysilicon went from about $300/kg to $460/kg—then plummeted below $60/kg. It has remained around $70/kg since.
To be fair, the failure of Solyndra cannot be entirely blamed on these prices. However, it most certainly had an impact on the advantages of its technology. The market, not the government, had already chosen a winner. In a September 9th memorandum, the Congressional Research Service echoed this sentiment:
The solar market has essentially become commoditized. Solar PV firms that have proven technology, can warranty their products, and have enough operational performance to satisfy financial risk concerns of dept and equity finance provider will be acceptable solutions for solar PV projects. Competition therefore will likely be based on either module prices or electricity costs. Solyndra’s technology is relatively new with limited operational performance history.
Solar Power: Clear Skies or Clouds?
Here the entry breaks off for records of molecules
____________
Entry 1:
# C35H28N11O3PtS4

A structure of composition C35H28N11O3PtS4 (wB97M-V/def2-TZVPD, OMol25).

```
82
Properties=species:S:1:pos:R:3
H -1.01 -4.76 -5.88
H -3.29 -5.53 -5.09
C 3.12 -1.93 0.43
N -1.60 -1.10 1.66
H -4.74 1.30 2.95
C -0.75 -3.42 -4.21
H -2.69 -2.88 2.26
O 0.95 -2.00 -5.52
C 1.42 0.48 5.50
C 4.22 3.07 -2.09
C -4.39 1.13 1.94
N -3.29 0.18 2.08
C 1.83 1.92 3.55
H -3.43 1.27 -0.57
H 1.83 0.70 -2.89
N 1.55 0.69 3.15
C -3.99 2.37 1.17
C 3.56 1.84 -2.18
H -0.37 -5.36 3.44
H -3.55 5.71 1.63
C 1.43 2.83 -2.78
C -0.18 -2.05 -2.39
N 2.02 -1.11 0.52
N -1.97 1.79 -2.50
C -1.26 -2.87 -3.05
N 4.05 -1.37 -0.34
H 2.69 2.62 1.82
H 3.23 -2.91 0.85
C 2.03 -2.49 4.92
H -4.38 -4.31 -3.18
H -4.29 3.69 2.86
H 1.19 0.09 6.46
C 3.49 4.20 -2.48
C -3.51 4.73 1.15
H -5.22 0.59 1.39
S 1.92 -4.13 4.52
C -2.56 -3.23 -2.67
C -2.80 3.31 -0.77
C -2.75 -4.74 -4.56
H -0.85 -4.26 2.06
H -2.74 5.49 -0.66
N 3.57 -0.16 -0.72
S 0.92 -2.90 -4.39
H 1.76 0.93 -0.27
C 0.01 -4.74 2.63
C -2.60 -1.82 2.23
C -2.03 0.16 1.63
H 1.51 5.00 -2.72
H 4.44 -0.07 -2.58
C 0.00 2.63 -2.78
S 1.73 2.14 5.26
C 1.39 -0.18 4.24
C -2.00 2.95 -1.88
O -0.80 3.64 -2.24
H 2.61 -2.21 5.84
C -2.99 4.59 -0.16
H 1.45 3.76 2.54
H 4.01 5.13 -2.53
Pt 0.19 -1.67 1.06
H -1.45 1.02 1.40
N 0.99 -2.05 -2.95
H -2.93 -2.74 -1.74
N -0.73 1.55 -3.05
C -3.44 2.24 -0.10
H 5.26 0.81 -1.30
C 4.30 0.60 -1.71
N 0.76 -2.38 2.99
O 1.83 -3.97 -4.30
C -1.46 -4.36 -4.98
C 2.35 0.03 -0.14
C 2.11 4.09 -2.64
C 1.30 -1.62 4.08
C -3.34 -4.10 -3.47
C -3.98 3.61 1.83
C 2.26 1.70 -2.71
H 3.13 3.60 3.31
C 2.32 3.06 2.74
S -0.56 -1.04 -1.03
N -3.60 -1.02 2.57
H 0.68 -5.30 1.96
C 0.80 -3.67 3.30
H 5.31 3.18 -1.78
```

## Properties
E_tot in hartree: -3890.27963
ΔE to the lowest compared entry with this formula, charge and spin in kcal per mole: 3.8
F_max in eV Å⁻¹: 4.87
Charge: +1
Multiplicity: 3

Results of the Löwdin charge analysis, in e, for atoms 1 through 5:
1. H 0.1243
2. H 0.1145
3. C -0.1500
4. N -0.2121
5. H 0.1308

=====

Entry 2:
# C35H28N8O7STl

A structure of composition C35H28N8O7STl (wB97M-V/def2-TZVPD, OMol25).

```
80
Properties=species:S:1:pos:R:3
H 3.24 -4.94 2.20
H -5.03 -2.53 -3.49
C -0.31 5.24 1.45
S -2.00 -1.17 -1.70
O -2.03 1.58 -0.11
H 3.05 -4.51 -1.99
H 4.07 0.57 -1.21
C 3.70 -3.07 1.65
C -5.30 -2.58 -2.44
H 2.32 -3.48 -4.12
C -2.01 -2.79 -2.54
H 1.43 -4.80 -0.15
H 3.65 -1.08 1.33
N 3.56 -1.81 2.01
C -2.70 -0.46 4.15
H -0.91 -4.03 -0.42
H -6.64 -4.24 -2.71
O 2.46 8.29 0.98
H -0.02 -2.71 -4.38
H -4.29 0.36 2.91
N -1.05 0.39 2.12
C 2.02 -4.21 -2.13
C -6.21 -3.54 -2.00
N 2.93 7.81 -0.03
C 0.30 -3.19 -3.46
H -0.90 3.16 1.61
H -6.29 -2.72 1.28
C -2.90 1.22 0.73
H -3.81 0.28 -1.47
C 1.81 5.57 0.38
C -0.62 -3.35 -2.43
N 3.37 -4.02 2.57
O 1.43 -1.36 3.90
H -0.86 -1.21 5.04
C -6.01 -2.69 0.23
C -0.20 -3.95 -1.24
C 4.03 4.37 -0.96
C -5.12 -1.72 -0.20
H 2.75 -3.73 3.31
H -7.26 -4.35 -0.32
C 4.41 -2.55 -0.40
C 0.66 6.10 1.00
C -0.54 -0.24 3.17
N 4.64 -1.74 -1.21
C 1.11 -4.37 -1.09
C -0.14 3.86 1.28
C 0.97 -0.48 3.13
____________
Solyndra is just one of many solar companies, so it’s a stretch to suggest they’re emblematic of an entire industry (check out this great infographic—Solyndra vs. the solar industry). In truth, the solar industry is demonstrating improved strength and growth—two words that aren’t frequently used to describe today’s economy. In the last six years, solar photovoltaic installations increased by an average of 64 percent. And in just over a year (August 2010 to August 2011), the industry saw a 6.8 percent growth in private sector jobs. All this while U.S. job growth languished at 0.7 percent.
This is positive news, but the solar industry still has ground to cover. Although prices continue to fall, solar must reach an even more competitive price while demonstrating additional benefits.
“I think the most important lesson is that, for the solar industry to survive and to flourish, it’s absolutely essential that the industry provide a product that has market demand,” said Ned Harvey, Rocky Mountain Institute’s Chief Operating Officer. We’ve got to identify some other mechanisms that benefit what solar can provide to consumers and utilities. Price is always going to be important, but we’ve really got to understand the impact of price on both supply and demand”
Poised for Take-Off
The solar industry is on the cusp of even greater success. Betting the future of an entire industry on the failure of one company is at best foolish and at worst dangerous. The growth of this industry is good for jobs and it’s good for American competitiveness.
“If we want to capture the benefits in our country,” Harvey said, “if we want the U.S. to be a leading player in clean tech and clean energy, it’s going to take investments and they’re not all going to pay off.”